For any person who has a car or any type of a vehicle, it is always important to make sure that he or she is ware of the various types of body shops and where they are located so that incase of any kind of an accident or any other thing that might force him or her to be in need of various auto body repair services, he or she will have an easy time and the best services from the body shop that is well known by him. Get more information about
Here the piece breaks off for records of crystals
- - -
VTcIrRu: optimized geometry, GGA-PBE.

Final energy, eV per atom: -9.363
Space group: No. 44
Spin magnetization, μB/cell: 0.0

a b c (Å): 5.9415 5.9415 5.9415
angles (deg): 153.47 138.82 49.66
With the nearest neighbours (Å) after each atom.
Fractional positions:
V1 0.0000 0.0000 0.0000  4 Ir 2.61, 2 Tc 2.62, 2 V 2.73, 2 Ru 2.74
Tc1 0.6469 0.1469 0.5000  4 Ru 2.62, 2 V 2.62, 2 Tc 2.73, 2 Ir 2.73
Ir1 0.4275 0.4275 0.0000  2 Ru 2.61, 4 V 2.61, 2 Ir 2.73, 2 Tc 2.73
Ru1 0.2208 0.7208 0.5000  2 Ir 2.61, 4 Tc 2.62, 2 Ru 2.73, 2 V 2.74
- - -
End of the records of crystals
auto body repair estimate.
Here the piece breaks off for materials data:
<<<
No. 1
First-principles (meta-GGA SCAN) data for a crystal of CaIr2Rh relaxed with PBEsol, as listed in the Alexandria database.

It has space group Cm (No. 8), with a = 9.2783 Å, b = 2.7769 Å, c = 5.0399 Å, α = 90.00°, β = 100.08° and γ = 90.00°. The inequivalent atoms are Ca at (0.0000, 0.0000, 0.0000), Ir at (0.2387, 0.0000, 0.6723), Ir at (0.4991, 0.0000, 0.5115) and Rh at (0.2603, 0.5000, 0.2479).

The calculation puts the calculated formation energy at -0.0588 eV per atom. Its total DFT energy (no corrections) is -1.7076 hartree per atom. The excess energy over the best structure of this formula in the dataset comes out at 0.000 eV per atom. As for the theoretical density: 13.70 g cm⁻³.



No. 2
First-principles (meta-GGA SCAN) data for a crystal of Ca2IrRh relaxed with PBEsol, as listed in the Alexandria database.

It has space group P4mm (No. 99), with a = 3.4466 Å, b = 3.4466 Å, c = 8.0519 Å, α = 90.00°, β = 90.00° and γ = 90.00°. The inequivalent atoms are Ca at (0.0000, 0.0000, 0.0000), Ca at (0.5000, 0.5000, 0.4115), Ir at (0.0000, 0.0000, 0.6544) and Rh at (0.5000, 0.5000, 0.7543).

The calculation puts the calculated formation energy at -0.0310 eV per atom. Its total DFT energy (no corrections) is -1.1422 hartree per atom. As for the theoretical density: 6.52 g cm⁻³.



No. 3
First-principles (meta-GGA SCAN) data for a crystal of Ca2IrRh relaxed with PBEsol, as listed in the Alexandria database.

It has space group Pmm2 (No. 25), with a = 2.9748 Å, b = 4.3650 Å, c = 5.9067 Å, α = 90.00°, β = 90.00° and γ = 90.00°. The inequivalent atoms are Ca at (0.0000, 0.0000, 0.0000), Ca at (0.5000, 0.5000, 0.3412), Ir at (0.0000, 0.0000, 0.5489) and Rh at (0.5000, 0.5000, 0.7853).

The calculation puts the calculated formation energy at 0.1075 eV per atom. Its total DFT energy (no corrections) is -1.1371 hartree per atom. As for the theoretical density: 8.12 g cm⁻³.


## Na3Pt (GGA-PBE)

Data for Na3Pt after structural relaxation.

a b c (Å): 8.4552 8.4552 8.6744
angles (deg): 90.00 90.00 120.00
Space group P6_3cm (No. 185)
Unique sites:
Na: 0.0000 0.0000 0.0000 x2
Na: 0.0000 0.2849 0.7566 x6
Na: 0.0000 0.3729 0.0918 x6
Na: 0.3333 0.6667 0.3683 x4
Pt: 0.0000 0.3273 0.4242 x6



## NaPuPt (GGA-PBE)

Data for NaPuPt after structural relaxation.

a b c (Å): 6.7654 6.7654 6.7654
angles (deg): 90.00 90.00 90.00
Space group F-43m (No. 216)
Unique sites:
Na: 0.0000 0.0000 0.0000 x4
Pu: 0.0000 0.0000 0.5000 x4
Pt: 0.2500 0.2500 0.2500 x4



Number 1: total DFT energy (no corrections) -0.094 Ha/atom. Number 2: total DFT energy (no corrections) -0.271 Ha/atom.


[1]
Computed, not measured: a relaxed AcThPa4 crystal at the PBE level of DFT.

```
AcThPa4
1.0
-5.2316 3.2797 -0.7500
-3.1032 -0.2829 -5.3832
-5.4865 -2.9170 -0.2774
Pa Th Ac
4 1 1
Direct
0.1241 0.6253 0.6253
0.6253 0.1241 0.6253
0.6253 0.6253 0.6253
0.6253 0.6253 0.1241
0.0000 0.0000 0.0000
0.2500 0.2500 0.2500
```

[2]
Computed, not measured: a relaxed Ac2ThPa crystal at the PBE level of DFT.
>>>
No any driver from any place across the world should complain of not getting the various auto body repair services from any of the body shops across the world since there are various different types of body shops that are available across the world and most of them have various specialists who can offer or provide the auto body repairs and services promptly and in the right way. One of the main reasons why most of the people also love choosing the best body shop is because of the various high quality auto body parts that are always necessary for replacing the older and worn out auto body parts from your vehicle and hence being the main reason why it becomes necessary for any owner of a vehicle to go for an auto body shop that can provide all the necessary auto body parts. For more information about the
paint and body shops in augusta ga, follow the link.
Data records, as found in the file:
=====
The following is a PBE calculation of a geometry-optimized Co4H3Rh structure, from Alexandria via LeMat-Bulk.

The structure in CIF format:
```
data_Co4H3Rh
_symmetry_space_group_name_H-M 'C 1 c 1'
_symmetry_Int_Tables_number 9
_symmetry_space_group_name_Hall 'C -2yc'
_cell_length_a 8.896
_cell_length_b 4.598
_cell_length_c 6.737
_cell_angle_alpha 90.00
_cell_angle_beta 110.85
_cell_angle_gamma 90.00
loop_
_atom_site_label
_atom_site_type_symbol
_atom_site_fract_x
_atom_site_fract_y
_atom_site_fract_z
Co1 Co 0.000 0.161 0.000
Co2 Co 0.096 0.324 0.701
Co3 Co 0.197 0.169 0.397
Co4 Co 0.298 0.334 0.099
H1 H 0.097 0.491 0.958
H2 H 0.193 0.005 0.145
H3 H 0.305 0.491 0.350
Rh1 Rh 0.400 0.163 0.799
```

Values from the calculation:
- DFT total energy: -0.4198 Ry per atom
- Calculated volume: 257.49 Å³/cell
- Magnetic moment: 26.92 μB/cell

---

The following is a PBE calculation of a geometry-optimized CoH2Rh structure, from Alexandria via LeMat-Bulk.

The structure in CIF format:
```
data_CoH2Rh
_symmetry_space_group_name_H-M 'R -3 m'
_symmetry_Int_Tables_number 166
_symmetry_space_group_name_Hall '-R 3 2"'
_cell_length_a 2.8765
_cell_length_b 2.8765
_cell_length_c 14.1397
_cell_angle_alpha 90.00
_cell_angle_beta 90.00
_cell_angle_gamma 120.00
loop_
_atom_site_label
_atom_site_type_symbol
_atom_site_fract_x
_atom_site_fract_y
_atom_site_fract_z
Co1 Co 0.0000 0.0000 0.0000
H1 H 0.0000 0.0000 0.1164
Rh1 Rh 0.0000 0.0000 0.5000
```

Values from the calculation:
- DFT total energy: -0.3753 Ry per atom
- Calculated volume: 101.32 Å³/cell
- Magnetic moment: 5.54 μB/cell

---

The following is a PBE calculation of a geometry-optimized CoHRh2 structure, from Alexandria via LeMat-Bulk.

The structure in CIF format:
```
data_CoHRh2
_symmetry_space_group_name_H-M 'F m -3 m'
_symmetry_Int_Tables_number 225
_symmetry_space_group_name_Hall '-F 4 2 3'
_cell_length_a 5.680
_cell_length_b 5.680
_cell_length_c 5.680
_cell_angle_alpha 90.00
_cell_angle_beta 90.00
_cell_angle_gamma 90.00
loop_
_atom_site_label
_atom_site_type_symbol
_atom_site_fract_x
_atom_site_fract_y
_atom_site_fract_z
Co1 Co 0.000 0.000 0.000
H1 H 0.000 0.000 0.500
Rh1 Rh 0.250 0.250 0.250
```

Values from the calculation:
- Energy above the lowest structure with this stoichiometry: 0.406 eV/atom
- Calculated volume: 183.24 Å³/cell
- Magnetic moment: 12.55 μB/cell

---

The following is a PBE calculation of a geometry-optimized CoHRh2 structure, from Alexandria via LeMat-Bulk.

The structure in CIF format:
```
data_CoHRh2
_symmetry_space_group_name_H-M 'R 3 m'
_symmetry_Int_Tables_number 160
_symmetry_space_group_name_Hall 'R 3 -2"'
_cell_length_a 2.7410
_cell_length_b 2.7410
_cell_length_c 19.6732
_cell_angle_alpha 90.00
_cell_angle_beta 90.00
_cell_angle_gamma 120.00
loop_
_atom_site_label
_atom_site_type_symbol
_atom_site_fract_x
_atom_site_fract_y
_atom_site_fract_z
Co1 Co 0.0000 0.0000 0.0000
H1 H 0.0000 0.0000 0.1637
Rh1 Rh 0.0000 0.0000 0.5635
Rh2 Rh 0.0000 0.0000 0.7707
```
=====
It is important to make sure that no any accident permanently destroys your car by making sure that the condition of the car after being involved in an accident is always in proper condition something that can be facilitated by choosing the right type of a body shop where you as the owner of the car is guaranteed of proper auto body repairs and services. However, not to every person where the process of choosing the right body shop for his or her car is all that easy since most of them especially the car owners who have never been involved in such an activity find a very hard time when looking for a body shop. Choosing the best type of a body shop that will provide the best auto repairs and services is something that requires keen analysis of some of the various important factors or tips that guides any person through the whole process of choosing the right body shop. Here are some of these main factors that will help you get the right body shop and a body shop that will play a great role in bringing back the right and normal condition for your car after an accident. Determine the best information about body shops at
For any person in need of a certain body shop for his or her car, it is important to first conduct a good research on various types of body shops that are available across the world and the types pf auto repairs and services that they provide. Any person in need of a body shop should also make sure that he gets the right references of a body from various people who might be having more information about it.